[Activity]
Could you quote the contents below character by character?

[Data]
No. 1
{
  "formula": "SrCaMn2O6",
  "functional": "PBE with a Hubbard U",
  "state": "optimized geometry",
  "cell": [[-0.0241, -0.4908, 7.6870], [5.5542, -5.3271, -0.3227], [5.3359, 5.5408, 0.3705]],
  "species": ["Mn", "Mn", "Mn", "Mn", "Mn", "Mn", "Mn", "Mn", "O", "O", "O", "O", "O", "O", "O", "O", "O", "O", "O", "O", "O", "O", "O", "O", "O", "O", "O", "O", "O", "O", "O", "O", "Sr", "Sr", "Sr", "Sr", "Ca", "Ca", "Ca", "Ca"],
  "frac_coords": [[0.7500, 0.2500, 0.7509], [0.2500, 0.2500, 0.2491], [0.7500, 0.7500, 0.7509], [0.2500, 0.2500, 0.7509], [0.2500, 0.7500, 0.2491], [0.7500, 0.2500, 0.2491], [0.7500, 0.7500, 0.2491], [0.2500, 0.7500, 0.7509], [0.0000, 0.7500, 0.2456], [0.2500, 0.5000, 0.2496], [0.2480, 0.2480, 0.0000], [0.7520, 0.2480, 0.0000], [0.7480, 0.7480, 0.5000], [0.7520, 0.7520, 0.0000], [0.7500, 0.0000, 0.2456], [0.5000, 0.7500, 0.2496], [0.2520, 0.7480, 0.5000], [0.2500, 0.0000, 0.7544], [0.0000, 0.2500, 0.2456], [0.5000, 0.2500, 0.7504], [0.0000, 0.7500, 0.7544], [0.2480, 0.7520, 0.0000], [0.2500, 0.5000, 0.7504], [0.2500, 0.0000, 0.2456], [0.5000, 0.2500, 0.2496], [0.7500, 0.5000, 0.7504], [0.2520, 0.2520, 0.5000], [0.7480, 0.2520, 0.5000], [0.7500, 0.0000, 0.7544], [0.0000, 0.2500, 0.7544], [0.7500, 0.5000, 0.2496], [0.5000, 0.7500, 0.7504], [0.5000, 0.5000, 0.0000], [0.0000, 0.0000, 0.5000], [0.0000, 0.5000, 0.5000], [0.5000, 0.0000, 0.5000], [0.0000, 0.5000, 0.0000], [0.0000, 0.0000, 0.0000], [0.5000, 0.0000, 0.0000], [0.5000, 0.5000, 0.5000]]
}

***

No. 2
{
  "formula": "Mg6VSnO8",
  "functional": "PBE with a Hubbard U",
  "state": "optimized geometry",
  "cell": [[8.9294, 0.0000, 0.0000], [0.0000, 4.4455, 0.0000], [0.0000, 0.0000, 4.4455]],
  "species": ["O", "O", "O", "O", "O", "O", "O", "O", "Mg", "Mg", "Mg", "Mg", "Mg", "Mg", "V", "Sn"],
  "frac_coords": [[0.7655, 0.0000, 0.0000], [0.5000, 0.0000, 0.5000], [0.2344, 0.0000, 0.0000], [0.5000, 0.5000, 0.0000], [0.2482, 0.5000, 0.5000], [0.0000, 0.5000, 0.0000], [0.7518, 0.5000, 0.5000], [0.0000, 0.0000, 0.5000], [0.2394, 0.0000, 0.5000], [0.7606, 0.0000, 0.5000], [0.7606, 0.5000, 0.0000], [0.5000, 0.5000, 0.5000], [0.2394, 0.5000, 0.0000], [0.0000, 0.5000, 0.5000], [0.0000, 0.0000, 0.0000], [0.5000, 0.0000, 0.0000]]
}

***

No. 3
{
  "formula": "LiMn3B3O9",
  "functional": "PBE with a Hubbard U",
  "state": "optimized geometry",
  "cell": [[-5.5062, 1.0468, -2.5886], [-2.6571, -3.8772, 6.1837], [3.4983, 8.0687, 2.3143]],
  "species": ["Mn", "Mn", "Mn", "Mn", "Mn", "Mn", "O", "O", "O", "O", "O", "O", "O", "O", "O", "O", "O", "O", "O", "O", "O", "O", "O", "O", "Li", "Li", "B", "B", "B", "B", "B", "B"],
  "frac_coords": [[0.9649, 0.7201, 0.0605], [0.3456, 0.6022, 0.5905], [0.6544, 0.3978, 0.4095], [0.2991, 0.0316, 0.7120], [0.7009, 0.9684, 0.2880], [0.0351, 0.2799, 0.9395], [0.5270, 0.8896, 0.7728], [0.0535, 0.1728, 0.6915], [0.3825, 0.5195, 0.3609], [0.1075, 0.7492, 0.5411], [0.6175, 0.4805, 0.6391], [0.4664, 0.1832, 0.6378], [0.8925, 0.2508, 0.4589], [0.7657, 0.4307, 0.8940], [0.1605, 0.8614, 0.9782], [0.4730, 0.1104, 0.2272], [0.6780, 0.8430, 0.0248], [0.5336, 0.8168, 0.3622], [0.9465, 0.8272, 0.3085], [0.2343, 0.5693, 0.1060], [0.3220, 0.1570, 0.9752], [0.8395, 0.1386, 0.0218], [0.7911, 0.5164, 0.2877], [0.2089, 0.4836, 0.7123], [0.3444, 0.6708, 0.9440], [0.6556, 0.3292, 0.0560], [0.0581, 0.3041, 0.6207], [0.6126, 0.3617, 0.7259], [0.6912, 0.9615, 0.9405], [0.9419, 0.6959, 0.3793], [0.3874, 0.6383, 0.2741], [0.3088, 0.0385, 0.0595]]
}

***

| no. | ΔE_f (eV per atom) |
| --- | --- |
| 1 | -2.43 |
| 2 | -2.53 |
| 3 | -2.39 |

----------

Entry from the Materials Project: a relaxed KBaPrWO6 crystal (PBE with a Hubbard U).

[Worked solution]
No. 1
{
  "formula": "SrCaMn2O6",
  "functional": "PBE with a Hubbard U",
  "state": "optimized geometry",
  "cell": [[-0.0241, -0.4908, 7.6870], [5.5542, -5.3271, -0.3227], [5.3359, 5.5408, 0.3705]],
  "species": ["Mn", "Mn", "Mn", "Mn", "Mn", "Mn", "Mn", "Mn", "O", "O", "O", "O", "O", "O", "O", "O", "O", "O", "O", "O", "O", "O", "O", "O", "O", "O", "O", "O", "O", "O", "O", "O", "Sr", "Sr", "Sr", "Sr", "Ca", "Ca", "Ca", "Ca"],
  "frac_coords": [[0.7500, 0.2500, 0.7509], [0.2500, 0.2500, 0.2491], [0.7500, 0.7500, 0.7509], [0.2500, 0.2500, 0.7509], [0.2500, 0.7500, 0.2491], [0.7500, 0.2500, 0.2491], [0.7500, 0.7500, 0.2491], [0.2500, 0.7500, 0.7509], [0.0000, 0.7500, 0.2456], [0.2500, 0.5000, 0.2496], [0.2480, 0.2480, 0.0000], [0.7520, 0.2480, 0.0000], [0.7480, 0.7480, 0.5000], [0.7520, 0.7520, 0.0000], [0.7500, 0.0000, 0.2456], [0.5000, 0.7500, 0.2496], [0.2520, 0.7480, 0.5000], [0.2500, 0.0000, 0.7544], [0.0000, 0.2500, 0.2456], [0.5000, 0.2500, 0.7504], [0.0000, 0.7500, 0.7544], [0.2480, 0.7520, 0.0000], [0.2500, 0.5000, 0.7504], [0.2500, 0.0000, 0.2456], [0.5000, 0.2500, 0.2496], [0.7500, 0.5000, 0.7504], [0.2520, 0.2520, 0.5000], [0.7480, 0.2520, 0.5000], [0.7500, 0.0000, 0.7544], [0.0000, 0.2500, 0.7544], [0.7500, 0.5000, 0.2496], [0.5000, 0.7500, 0.7504], [0.5000, 0.5000, 0.0000], [0.0000, 0.0000, 0.5000], [0.0000, 0.5000, 0.5000], [0.5000, 0.0000, 0.5000], [0.0000, 0.5000, 0.0000], [0.0000, 0.0000, 0.0000], [0.5000, 0.0000, 0.0000], [0.5000, 0.5000, 0.5000]]
}

***

No. 2
{
  "formula": "Mg6VSnO8",
  "functional": "PBE with a Hubbard U",
  "state": "optimized geometry",
  "cell": [[8.9294, 0.0000, 0.0000], [0.0000, 4.4455, 0.0000], [0.0000, 0.0000, 4.4455]],
  "species": ["O", "O", "O", "O", "O", "O", "O", "O", "Mg", "Mg", "Mg", "Mg", "Mg", "Mg", "V", "Sn"],
  "frac_coords": [[0.7655, 0.0000, 0.0000], [0.5000, 0.0000, 0.5000], [0.2344, 0.0000, 0.0000], [0.5000, 0.5000, 0.0000], [0.2482, 0.5000, 0.5000], [0.0000, 0.5000, 0.0000], [0.7518, 0.5000, 0.5000], [0.0000, 0.0000, 0.5000], [0.2394, 0.0000, 0.5000], [0.7606, 0.0000, 0.5000], [0.7606, 0.5000, 0.0000], [0.5000, 0.5000, 0.5000], [0.2394, 0.5000, 0.0000], [0.0000, 0.5000, 0.5000], [0.0000, 0.0000, 0.0000], [0.5000, 0.0000, 0.0000]]
}

***

No. 3
{
  "formula": "LiMn3B3O9",
  "functional": "PBE with a Hubbard U",
  "state": "optimized geometry",
  "cell": [[-5.5062, 1.0468, -2.5886], [-2.6571, -3.8772, 6.1837], [3.4983, 8.0687, 2.3143]],
  "species": ["Mn", "Mn", "Mn", "Mn", "Mn", "Mn", "O", "O", "O", "O", "O", "O", "O", "O", "O", "O", "O", "O", "O", "O", "O", "O", "O", "O", "Li", "Li", "B", "B", "B", "B", "B", "B"],
  "frac_coords": [[0.9649, 0.7201, 0.0605], [0.3456, 0.6022, 0.5905], [0.6544, 0.3978, 0.4095], [0.2991, 0.0316, 0.7120], [0.7009, 0.9684, 0.2880], [0.0351, 0.2799, 0.9395], [0.5270, 0.8896, 0.7728], [0.0535, 0.1728, 0.6915], [0.3825, 0.5195, 0.3609], [0.1075, 0.7492, 0.5411], [0.6175, 0.4805, 0.6391], [0.4664, 0.1832, 0.6378], [0.8925, 0.2508, 0.4589], [0.7657, 0.4307, 0.8940], [0.1605, 0.8614, 0.9782], [0.4730, 0.1104, 0.2272], [0.6780, 0.8430, 0.0248], [0.5336, 0.8168, 0.3622], [0.9465, 0.8272, 0.3085], [0.2343, 0.5693, 0.1060], [0.3220, 0.1570, 0.9752], [0.8395, 0.1386, 0.0218], [0.7911, 0.5164, 0.2877], [0.2089, 0.4836, 0.7123], [0.3444, 0.6708, 0.9440], [0.6556, 0.3292, 0.0560], [0.0581, 0.3041, 0.6207], [0.6126, 0.3617, 0.7259], [0.6912, 0.9615, 0.9405], [0.9419, 0.6959, 0.3793], [0.3874, 0.6383, 0.2741], [0.3088, 0.0385, 0.0595]]
}

***

| no. | ΔE_f (eV per atom) |
| --- | --- |
| 1 | -2.43 |
| 2 | -2.53 |
| 3 | -2.39 |

----------

Entry from the Materials Project: a relaxed KBaPrWO6 crystal (PBE with a Hubbard U).